Contents.
********
[1]
{"formula": "C4H9N2", "method": "wB97M-V/def2-TZVPD", "lumo_energy_ha": -0.1360, "de_lowest_kcal_mol": 65.0, "energy_ha": -266.99562, "gap_ev": 11.1, "max_force_ha_per_bohr": 0.07267, "total_charge": 1, "smiles": "CN=C=[N+](C)C", "species": ["H", "H", "H", "C", "C", "H", "C", "N", "H", "H", "H", "H", "C", "H", "N"], "xyz": [[-1.143, 2.234, -0.203], [3.344, -0.164, 0.938], [-0.783, -1.915, -0.860], [-1.651, 1.316, 0.166], [-1.472, -1.281, -0.170], [-1.387, -1.823, 0.724], [0.374, 0.112, 0.085], [1.514, 0.124, 0.298], [-1.851, 1.530, 1.228], [3.398, 0.660, -0.610], [-2.607, 1.389, -0.297], [2.898, -0.908, -0.831], [2.824, -0.142, -0.041], [-2.551, -1.232, -0.396], [-0.908, 0.100, -0.031]]}

=====

[2]
{"formula": "C5H3NO", "method": "wB97M-V/def2-TZVPD", "lumo_energy_ha": 0.0204, "de_lowest_kcal_mol": 99.9, "energy_ha": -322.13260, "gap_ev": 10.8, "max_force_ha_per_bohr": 0.01331, "species": ["C", "C", "C", "N", "C", "H", "O", "H", "H", "C"], "xyz": [[0.088, 0.099, 0.075], [2.664, 0.854, 0.333], [-0.513, -1.194, 0.049], [-1.810, -1.123, -0.040], [1.482, 0.432, 0.153], [-0.023, -2.159, 0.085], [-2.109, 0.222, -0.059], [-1.086, 2.008, -0.011], [2.292, -0.068, -0.585], [-0.985, 0.932, 0.000]]}

=====

[3]
{"formula": "C14H21IInN4O2SSe2", "method": "wB97M-V/def2-TZVPD", "lumo_energy_ha": -0.1349, "de_lowest_kcal_mol": 0.0, "energy_ha": -6604.31829, "gap_ev": 7.3, "max_force_ha_per_bohr": 0.00270, "total_charge": 1, "species": ["I", "C", "In", "H", "Se", "C", "C", "H", "N", "C", "C", "H", "N", "H", "H", "O", "H", "H", "H", "C", "H", "H", "N", "C", "C", "C", "H", "C", "H", "C", "H", "O", "C", "H", "H", "H", "H", "N", "S", "H", "Se", "H", "H", "C", "H", "C"], "xyz": [[-4.633, -3.462, -0.539], [-2.566, 3.998, -2.926], [-0.738, 1.301, 1.386], [2.167, 1.580, 3.675], [-0.214, 0.768, 3.766], [3.798, -0.563, 2.898], [2.396, -0.138, 2.393], [4.326, -1.092, 2.098], [-1.751, 1.878, -1.358], [-3.327, -2.277, 0.512], [-3.079, 5.189, -3.659], [3.429, 0.357, 0.564], [-2.663, 4.008, -1.572], [3.673, -1.256, 3.730], [2.316, -1.914, 1.212], [4.556, 0.537, 3.374], [-3.031, 4.828, -1.106], [0.095, 0.815, -3.392], [-2.741, -3.440, 2.339], [2.647, 0.791, 1.190], [1.299, -3.137, 2.797], [0.741, -1.176, 1.456], [-2.044, -0.543, 1.099], [-2.693, -2.571, 1.705], [1.685, -1.410, 1.955], [1.746, 0.584, 3.586], [-3.131, -0.393, -0.682], [-2.255, 2.971, -0.793], [-4.163, 5.114, -3.765], [-2.884, -0.996, 0.176], [-1.394, 0.357, -4.221], [1.464, -2.236, 3.089], [-2.022, 2.888, -3.506], [-1.911, 2.833, -4.579], [-1.353, -1.327, 2.838], [-2.641, 5.242, -4.652], [5.155, 0.841, 2.687], [-1.934, -1.515, 2.018], [-2.416, 3.117, 0.900], [3.008, 1.752, 1.548], [1.220, 1.154, -0.137], [1.999, 0.052, 4.501], [-2.852, 6.111, -3.124], [-1.610, 1.828, -2.681], [-1.055, -0.225, -2.561], [-0.970, 0.611, -3.251]]}

=====

Q: What is the formula in the third record?
A: C14H21IInN4O2SSe2

----------

This record from the Open Molecules 2025 dataset describes a cluster of 7 separate species, C57H67N9O16P2S in total in a non-equilibrium geometry. The level of theory is ωB97M-V/def2-TZVPD.

Gap between HOMO and LUMO in eV: 6.6
SMILES: CCCCCCCCCCCCCCc1c([PH2]=N)c(O)c(CP(=O)(O)O)c2nsnc12.O=[N+]([O-])c1ccccc1.O=[N+]([O-])c1ccccc1.O=[N+]([O-])c1ccccc1.O=[N+]([O-])c1ccccc1.O=[N+]([O-])c1ccccc1.O=[N+]([O-])c1ccccc1
E in eV: -135746.668
Highest occupied orbital energy in eV: -8.60

XYZ file:
```
152
C57H67N9O16P2S (ωB97M-V/def2-TZVPD)
C 3.616 6.238 2.708
C 4.434 5.096 1.797
C 3.683 5.086 0.302
C 4.673 4.646 -0.923
C 4.690 3.062 -1.304
C 4.037 2.041 -0.209
C 5.100 1.556 0.985
C 4.341 0.372 1.827
C 3.938 0.761 3.368
C 2.333 0.961 3.638
C 1.393 -0.323 3.250
C -0.186 0.185 3.465
C -0.767 0.867 2.060
C -2.104 0.052 1.570
C -3.391 1.112 1.516
C -3.692 1.906 0.114
P -2.617 1.740 -1.487
N -1.553 2.988 -1.450
C -4.974 2.949 0.013
O -5.257 3.692 -1.229
C -5.922 3.135 1.369
C -7.186 4.196 1.277
P -6.471 5.967 1.657
O -7.330 6.991 0.804
O -4.771 6.039 1.187
O -6.504 6.306 3.385
C -5.533 2.288 2.739
********
Brief.
What is needed: set down the contents above from the line with "([O-])c1ccccc1.O=[N+]([O-])c1ccccc1.O=[N" to the end character by character.
Outcome.
SMILES: CCCCCCCCCCCCCCc1c([PH2]=N)c(O)c(CP(=O)(O)O)c2nsnc12.O=[N+]([O-])c1ccccc1.O=[N+]([O-])c1ccccc1.O=[N+]([O-])c1ccccc1.O=[N+]([O-])c1ccccc1.O=[N+]([O-])c1ccccc1.O=[N+]([O-])c1ccccc1
E in eV: -135746.668
Highest occupied orbital energy in eV: -8.60

XYZ file:
```
152
C57H67N9O16P2S (ωB97M-V/def2-TZVPD)
C 3.616 6.238 2.708
C 4.434 5.096 1.797
C 3.683 5.086 0.302
C 4.673 4.646 -0.923
C 4.690 3.062 -1.304
C 4.037 2.041 -0.209
C 5.100 1.556 0.985
C 4.341 0.372 1.827
C 3.938 0.761 3.368
C 2.333 0.961 3.638
C 1.393 -0.323 3.250
C -0.186 0.185 3.465
C -0.767 0.867 2.060
C -2.104 0.052 1.570
C -3.391 1.112 1.516
C -3.692 1.906 0.114
P -2.617 1.740 -1.487
N -1.553 2.988 -1.450
C -4.974 2.949 0.013
O -5.257 3.692 -1.229
C -5.922 3.135 1.369
C -7.186 4.196 1.277
P -6.471 5.967 1.657
O -7.330 6.991 0.804
O -4.771 6.039 1.187
O -6.504 6.306 3.385
C -5.533 2.288 2.739